**Input:**
+++
Structure and computed PXRD pattern of BaC4O10 (a structure optimized by DFT (PBE); a wavelength of 1.5418 Å).
Intensities are scaled so that the largest is 100.

Cell and atoms:
```
data_BaC4O10
_cell_length_a 15.587
_cell_length_b 6.894
_cell_length_c 13.395
_cell_angle_alpha 90.00
_cell_angle_beta 123.46
_cell_angle_gamma 90.00
_space_group_name_H-M_alt 'C 1 2/c 1'
_space_group_IT_number 15
_space_group_name_Hall '-C 2yc'
loop_
_atom_site_label
_atom_site_type_symbol
_atom_site_fract_x
_atom_site_fract_y
_atom_site_fract_z
Ba1 Ba 0.000 0.100 0.250
C1 C 0.051 0.312 0.976
C2 C 0.232 0.097 0.598
O1 O 0.040 0.329 0.882
O2 O 0.063 0.296 0.070
O3 O 0.144 0.130 0.525
O4 O 0.159 0.030 0.789
O5 O 0.181 0.436 0.333
```

The 10 most intense peaks (2θ = 10–80°), low angle first:
| h k l | 2theta | Rel. int. |
| --- | --- | --- |
| 2 0 0 | 13.6 | 100 |
| 2 0 -2 | 14.1 | 58 |
| 1 1 0 | 14.5 | 80 |
| 1 1 -1 | 14.7 | 53 |
| 3 1 -2 | 21.9 | 73 |
| 1 1 2 | 24.2 | 75 |
| 2 0 -4 | 26.9 | 49 |
| 2 2 -1 | 28.3 | 100 |
| 4 2 -1 | 35.5 | 54 |
| 4 2 -3 | 35.9 | 50 |



Structure and computed PXRD pattern of Ba7B4Se13 (a structure optimized by DFT (PBE); a wavelength of 1.5418 Å).
Intensities are scaled so that the largest is 100.

Cell and atoms:
```
data_Ba7B4Se13
_cell_length_a 10.670
_cell_length_b 25.547
_cell_length_c 10.663
_cell_angle_alpha 90.00
_cell_angle_beta 90.02
_cell_angle_gamma 90.00
_space_group_name_H-M_alt 'C 1 2/c 1'
_space_group_IT_number 15
_space_group_name_Hall '-C 2yc'
loop_
_atom_site_label
_atom_site_type_symbol
_atom_site_fract_x
_atom_site_fract_y
_atom_site_fract_z
Ba1 Ba 0.000 0.004 0.250
Ba2 Ba 0.000 0.168 0.750
Ba3 Ba 0.000 0.496 0.750
Ba4 Ba 0.107 0.329 0.028
Ba5 Ba 0.222 0.173 0.357
B1 B 0.100 0.117 0.068
B2 B 0.180 0.388 0.350
Se1 Se 0.000 0.294 0.750
Se2 Se 0.048 0.081 0.501
Se3 Se 0.096 0.425 0.489
Se4 Se 0.098 0.195 0.063
Se5 Se 0.186 0.309 0.347
Se6 Se 0.238 0.079 0.151
Se7 Se 0.245 0.423 0.202
```

The 10 most intense peaks (2θ = 10–80°), low angle first:
| h k l | 2theta | Rel. int. |
| --- | --- | --- |
| 0 4 2 | 21.7 | 34 |
| 3 1 -1 | 26.7 | 100 |
| 0 8 0 | 27.9 | 34 |
| 1 3 3 | 28.5 | 77 |
| 3 5 -1 | 31.7 | 80 |
| 1 5 3 | 31.8 | 42 |
| 1 7 3 | 36.3 | 72 |
| 1 9 -2 | 36.9 | 38 |
| 2 0 -4 | 37.7 | 85 |
| 4 6 2 | 43.5 | 31 |



Structure and computed PXRD pattern of Hf4NbGe4 (a structure optimized by DFT (PBE); a wavelength of 1.5418 Å).
Intensities are scaled so that the largest is 100.

Cell and atoms:
```
data_Hf4NbGe4
_cell_length_a 6.955
_cell_length_b 13.500
_cell_length_c 7.064
_cell_angle_alpha 90.00
_cell_angle_beta 90.00
_cell_angle_gamma 90.00
_space_group_name_H-M_alt 'P n m a'
_space_group_IT_number 62
_space_group_name_Hall '-P 2ac 2n'
loop_
_atom_site_label
_atom_site_type_symbol
_atom_site_fract_x
_atom_site_fract_y
_atom_site_fract_z
Hf1 Hf 0.015 0.095 0.177
Hf2 Hf 0.151 0.625 0.331
Nb1 Nb 0.176 0.250 0.503
Ge1 Ge 0.048 0.250 0.891
Ge2 Ge 0.183 0.750 0.649
Ge3 Ge 0.192 0.040 0.532
```

The 10 most intense peaks (2θ = 10–80°), low angle first:
| h k l | 2theta | Rel. int. |
| --- | --- | --- |
| 2 0 1 | 28.6 | 22 |
| 1 1 2 | 29.1 | 21 |
| 1 3 2 | 34.8 | 100 |
| 2 3 1 | 35.0 | 83 |
| 0 4 2 | 36.8 | 59 |
| 1 4 2 | 39.1 | 25 |
| 2 4 1 | 39.3 | 49 |
| 0 6 0 | 40.1 | 21 |
| 3 0 1 | 41.0 | 89 |
| 3 4 3 | 62.6 | 33 |



Structure and computed PXRD pattern of BaLaSi2 (a structure optimized by DFT (PBE); a wavelength of 1.5418 Å).
Intensities are scaled so that the largest is 100.

Cell and atoms:
```
data_BaLaSi2
_cell_length_a 4.633
_cell_length_b 14.960
_cell_length_c 6.780
_cell_angle_alpha 90.00
_cell_angle_beta 90.00
_cell_angle_gamma 90.00
_space_group_name_H-M_alt 'C m c m'
_space_group_IT_number 63
_space_group_name_Hall '-C 2c 2'
loop_
_atom_site_label
_atom_site_type_symbol
_atom_site_fract_x
_atom_site_fract_y
_atom_site_fract_z
Ba1 Ba 0.000 0.223 0.250
La1 La 0.000 0.049 0.750
Si1 Si 0.000 0.424 0.568
```

The 10 most intense peaks (2θ = 10–80°), low angle first:
+++

**Activity:**
Duplicate only the lines earlier on with the word "The" in them.

**Solution:**
The 10 most intense peaks (2θ = 10–80°), low angle first:
The 10 most intense peaks (2θ = 10–80°), low angle first:
The 10 most intense peaks (2θ = 10–80°), low angle first:
The 10 most intense peaks (2θ = 10–80°), low angle first: